Could you search the data further below for the word "stable" and return each line that has it?

┌──
Entry 1:
Below is a relaxed structure of CaIn3Ga, with properties calculated at the PBE-GGA level.

As for the energy: -2.8299 eV/atom. The calculated formation energy is -0.181 eV/atom. The energy above the most stable polymorph in this dataset comes out at 0.038 eV per atom.

It has space group Pmmn (No. 59, origin choice 2), with a = 4.6978 Å, b = 7.7032 Å, c = 7.3103 Å, α = 90.00°, β = 90.00° and γ = 90.00°. The distinct sites, in fractional coordinates, are Ca at (0.2500, 0.2500, 0.2257), In at (0.2500, 0.0505, 0.7691), In at (0.2500, 0.7500, 0.4545) and Ga at (0.2500, 0.7500, 0.0600).


Entry 2:
Below is a relaxed structure of Er2Pt3Au3, with properties calculated at the PBE-GGA level.

As for the energy: -5.4946 eV/atom. The calculated formation energy is -0.860 eV/atom.

It has space group R32 (No. 155, hexagonal axes), with a = 7.9575 Å, b = 7.9575 Å, c = 8.4067 Å, α = 90.00°, β = 90.00° and γ = 120.00°. The distinct sites, in fractional coordinates, are Er at (0.0000, 0.0000, 0.2127), Pt at (0.0000, 0.3027, 0.0000) and Au at (0.0000, 0.7558, 0.5000).


Entry 3:
Below is a relaxed structure of TiTeSeI2, with properties calculated at the PBE-GGA level.

As for the energy: -3.4276 eV/atom. As for the energy relative to the elements, uncorrected: 9 kJ per mole of atoms. The energy above the most stable polymorph in this dataset comes out at 0.000 eV per atom.

It has space group P4/mmm (No. 123), with a = 5.3542 Å, b = 5.3542 Å, c = 5.5608 Å, α = 90.00°, β = 90.00° and γ = 90.00°. The distinct sites, in fractional coordinates, are Ti at (0.0000, 0.0000, 0.0000), Te at (0.0000, 0.0000, 0.5000), Se at (0.5000, 0.5000, 0.5000) and I at (0.0000, 0.5000, 0.0000).


Entry 4:
Below is a relaxed structure of PmAlTe2, with properties calculated at the PBE-GGA level.

As for the energy: -4.2325 eV/atom. As for the energy relative to the elements, uncorrected: -52 kJ per mole of atoms.

It has space group P3_221 (No. 154), with a = 4.5004 Å, b = 4.5004 Å, c = 28.0045 Å, α = 90.00°, β = 90.00° and γ = 120.00°. The distinct sites, in fractional coordinates, are Pm at (0.0000, 0.6710, 0.3333), Al at (0.0000, 0.6646, 0.8333) and Te at (0.0043, 0.6667, 0.7302).


Entry 5:
Below is a relaxed structure of Ba6Tl3H2, with properties calculated at the PBE-GGA level.

As for the energy: -2.6316 eV/atom.

It has space group I4/mmm (No. 139), with a = 5.6971 Å, b = 5.6971 Å, c = 26.4322 Å, α = 90.00°, β = 90.00° and γ = 90.00°. The distinct sites, in fractional coordinates, are Ba at (0.0000, 0.0000, 0.2041), Ba at (0.0000, 0.5000, 0.0817), Tl at (0.0000, 0.0000, 0.3359), Tl at (0.0000, 0.0000, 0.5000) and H at (0.0000, 0.0000, 0.1005).


Entry 6:
Below is a relaxed structure of Sr4SBr6, with properties calculated at the PBE-GGA level.

As for the energy: -4.0010 eV/atom. As for the energy relative to the elements, uncorrected: -203 kJ per mole of atoms.

It has space group P4_2/nmc (No. 137, origin choice 2), with a = 10.2280 Å, b = 10.2280 Å, c = 7.3962 Å, α = 90.00°, β = 90.00° and γ = 90.00°. The distinct sites, in fractional coordinates, are Sr at (0.0019, 0.2500, 0.0708), S at (0.2500, 0.7500, 0.7500), Br at (0.0400, 0.5400, 0.2500) and Br at (0.2500, 0.2500, 0.3302).


Entry 7:
Below is a relaxed structure of Rb2TaI7, with properties calculated at the PBE-GGA level.

As for the energy: -3.1994 eV/atom. As for the energy relative to the elements, uncorrected: -71 kJ per mole of atoms. The energy above the most stable polymorph in this dataset comes out at 0.000 eV per atom.

It has space group C2/c (No. 15), with a = 18.8786 Å, b = 9.2696 Å, c = 13.5499 Å, α = 90.00°, β = 127.46° and γ = 90.00°. The distinct sites, in fractional coordinates, are Rb at (0.1248, 0.1482, 0.0265), Ta at (0.0000, 0.2976, 0.2500), I at (0.0000, 0.3880, 0.7500), I at (0.0962, 0.0300, 0.2567), I at (0.0955, 0.2891, 0.5003) and I at (0.1608, 0.3921, 0.2773).


Entry 8:
Below is a relaxed structure of Rb3Ca2RhO6, with properties calculated at the PBE-GGA level.
└──

As for the energy: -2.8299 eV/atom. The calculated formation energy is -0.181 eV/atom. The energy above the most stable polymorph in this dataset comes out at 0.038 eV per atom.
As for the energy: -3.4276 eV/atom. As for the energy relative to the elements, uncorrected: 9 kJ per mole of atoms. The energy above the most stable polymorph in this dataset comes out at 0.000 eV per atom.
As for the energy: -3.1994 eV/atom. As for the energy relative to the elements, uncorrected: -71 kJ per mole of atoms. The energy above the most stable polymorph in this dataset comes out at 0.000 eV per atom.